Request =
Work out how many lines further down have the word "method" in them; a number is enough, please.
File =
-- begin --
25
Properties=species:S:1:pos:R:3:forces:R:3 method="wB97M-V/def2-TZVPD" homo_energy_ev="-5.999 / -9.748" spin_multiplicity=3 e_lumo_ha="0.0145 / -0.1044" s2=2.008
C 0.572 -1.150 0.937 -0.9 0.3 -1.4
C 1.948 -0.650 -0.836 -1.7 -0.3 1.7
C -0.285 -0.830 -1.409 -1.1 -1.3 1.5
C -2.622 -0.071 1.025 2.8 1.8 -0.2
C -2.341 2.088 2.300 -2.2 2.4 -1.0
C 3.589 -0.149 -2.536 -3.2 -0.7 -0.3
C -1.812 1.295 1.136 -0.5 -1.7 -1.5
N 1.764 -0.975 0.523 1.7 0.1 -0.4
N 0.973 -0.593 -1.725 1.7 0.4 -0.9
N -0.474 -1.035 0.061 -0.8 0.8 1.3
N 3.194 -0.373 -1.168 2.1 -0.2 1.4
N -1.763 -1.164 0.563 1.4 3.3 1.0
O -1.258 -1.008 -2.091 0.2 0.6 -0.3
O -3.765 -0.225 1.313 0.1 -0.3 0.0
Br -2.731 -2.679 0.033 -2.7 -4.8 -1.6
H 0.336 -1.393 1.978 0.1 0.1 -0.3
H -1.965 3.155 2.256 0.4 -1.4 0.8
H -2.203 1.489 3.190 0.1 0.6 0.5
H -3.492 2.368 2.201 2.2 -1.3 0.0
H 3.540 -1.112 -3.070 -0.6 0.5 -0.3
H 2.913 0.656 -2.934 0.9 -1.0 -0.2
H 4.578 0.072 -2.571 2.9 1.3 0.1
H -1.915 1.761 0.133 -0.3 0.1 0.6
H -0.731 1.007 1.128 -0.8 0.6 0.7
H 3.949 -0.483 -0.434 -1.8 0.1 -1.2

---

69
Properties=species:S:1:pos:R:3:forces:R:3 method="wB97M-V/def2-TZVPD" homo_energy_ev=-2.296 e_lumo_ha=0.0714 charge=-1
N -0.039 8.130 -7.464 -0.3 -0.6 0.1
C -0.720 7.192 -6.532 -0.9 0.4 0.5
C -0.834 7.804 -5.065 0.3 0.5 0.1
C 0.541 8.322 -4.495 -0.4 -1.8 0.4
C 1.302 7.216 -3.670 0.0 0.5 -0.1
C 0.453 6.485 -2.572 0.2 -0.7 -0.1
O -0.271 7.057 -1.781 0.5 -0.4 -0.5
C 0.507 4.902 -2.486 0.2 -1.8 0.0
C 1.478 4.141 -3.269 -1.1 -1.7 1.1
C 1.521 2.671 -3.178 -1.1 0.9 1.0
C 0.620 1.922 -2.318 -0.1 2.6 -0.1
C -0.353 2.681 -1.512 1.6 0.9 -1.3
C -0.397 4.148 -1.593 1.1 -1.6 -0.9
O 0.207 9.420 -3.522 -0.6 0.1 -1.2
N 0.755 10.574 -4.066 1.3 -0.4 1.1
O 1.941 10.490 -4.111 -0.6 0.8 -0.4
H 0.973 8.023 -7.401 -0.4 0.2 0.4
H -0.266 9.060 -7.098 0.5 -0.4 -0.2
H -0.289 6.158 -6.550 0.0 0.9 0.0
H -1.778 7.095 -6.930 1.0 -0.1 0.5
H -1.486 8.723 -5.185 0.6 -0.9 0.2
H -1.412 7.122 -4.367 0.3 0.3 -0.7
H 2.168 7.706 -3.132 -0.9 -0.4 -0.5
H 1.775 6.522 -4.418 -0.7 0.4 0.9
H 2.235 4.598 -3.952 -1.0 -0.2 0.8
H 2.280 2.119 -3.777 -0.7 0.5 0.5
H 0.699 0.810 -2.294 -0.2 1.1 0.1
H -1.033 2.120 -0.821 0.6 0.7 -0.7
H -1.146 4.643 -0.934 0.8 -0.1 -0.8
C 2.887 -0.047 0.103 0.1 0.0 0.0
C 2.007 -1.188 -0.393 -0.1 0.1 0.0
C 0.681 -1.295 0.359 -0.1 -0.1 0.0
C 0.806 -1.595 1.855 0.1 0.1 0.0
C 1.567 -2.877 2.197 -0.2 0.0 0.1
C 0.895 -4.135 1.660 0.2 -0.1 0.0
H 3.172 -0.182 1.149 0.0 0.0 0.0
H 3.806 0.003 -0.485 0.0 0.1 0.0
H 2.371 0.911 0.006 0.0 0.0 0.0
H 2.559 -2.131 -0.336 0.0 0.0 0.0
H 1.792 -1.025 -1.454 0.0 -0.1 0.1
H 0.066 -2.066 -0.118 0.0 0.0 0.0
H 0.128 -0.357 0.240 0.0 0.0 0.0
H -0.201 -1.655 2.282 0.0 0.0 0.0
H 1.293 -0.753 2.356 0.0 0.0 0.0
H 1.637 -2.958 3.287 0.0 0.0 0.0
H 2.595 -2.823 1.827 0.0 0.0 0.0
H -0.119 -4.233 2.057 0.0 0.0 -0.1
H 1.461 -5.022 1.956 -0.1 0.0 0.0
H 0.838 -4.129 0.569 0.0 0.0 0.0
C -1.572 -8.534 6.639 -0.2 -0.1 0.0
C -1.811 -8.557 5.134 0.1 -0.1 0.0
C -0.991 -7.513 4.376 0.0 0.0 -0.1
C -1.298 -6.058 4.741 0.0 0.0 0.1
C -2.756 -5.636 4.554 0.1 0.1 -0.1
C -3.224 -5.722 3.106 -0.1 0.0 0.0
H -1.865 -7.579 7.080 0.0 0.0 0.0
H -2.158 -9.315 7.128 0.1 0.0 0.0
H -0.518 -8.710 6.867 0.0 0.0 0.0
-- stop --
Response =
2